Entries:
1.
# GdHo2Er
Theoretical powder XRD pattern, Cu Kα X-rays. Input: a cell relaxed with PBE.
Intensities are scaled so that the largest is 100.

Most intense lines, 10° ≤ 2θ ≤ 90°, by angle:
(hkl), Position (°2θ), intensity
0 2 2, 28.71, 24
2 0 0, 31.91, 24
1 4 0, 32.94, 100
2 2 2, 43.45, 16
0 6 2, 50.86, 20
3 4 0, 57.52, 21
2 6 2, 61.31, 23
1 4 4, 61.94, 16
2 8 0, 69.08, 4
3 4 4, 80.32, 8
1 10 2, 84.17, 14
4 6 2, 88.47, 9

Structure:
```
data_GdHo2Er
_symmetry_space_group_name_H-M 'A m a 2'
_symmetry_Int_Tables_number 40
_cell_length_a 5.6089
_cell_length_b 12.4359
_cell_length_c 7.1817
_cell_angle_alpha 90.00
_cell_angle_beta 90.00
_cell_angle_gamma 90.00
loop_
_symmetry_equiv_pos_as_xyz
'x,y,z'
'-x,-y,z'
'-x+1/2,y,z'
'x+1/2,-y,z'
'x,y+1/2,z+1/2'
'-x,-y+1/2,z+1/2'
'-x+1/2,y+1/2,z+1/2'
'x+1/2,-y+1/2,z+1/2'
loop_
_atom_site_label
_atom_site_type_symbol
_atom_site_fract_x
_atom_site_fract_y
_atom_site_fract_z
Gd1 Gd 0.2500 0.0835 0.0000
Ho1 Ho 0.2500 0.0837 0.5004
Ho2 Ho 0.2500 0.3330 0.7499
Er1 Er 0.2500 0.3331 0.2505
```

=====

2.
# GdHo2ErMg2
Theoretical powder XRD pattern, Cu Kα X-rays. Input: a cell relaxed with PBE.
Intensities are scaled so that the largest is 100.

Most intense lines, 10° ≤ 2θ ≤ 90°, by angle:
(hkl), Position (°2θ), intensity
0 0 2, 10.30, 18
1 0 2, 19.29, 13
0 1 1, 24.93, 18
1 0 4, 26.43, 27
0 0 6, 31.25, 20
2 0 0, 32.87, 29
1 1 3, 33.43, 100
1 0 6, 35.43, 16
0 1 7, 44.46, 14
2 0 6, 45.99, 14
3 1 3, 59.04, 20
2 2 0, 61.09, 10

Structure:
```
data_GdHo2ErMg2
_symmetry_space_group_name_H-M 'A m m 2'
_symmetry_Int_Tables_number 38
_cell_length_a 5.4498
_cell_length_b 3.6518
_cell_length_c 17.1710
_cell_angle_alpha 90.00
_cell_angle_beta 90.00
_cell_angle_gamma 90.00
loop_
_symmetry_equiv_pos_as_xyz
'x,y,z'
'-x,-y,z'
'-x,y,z'
'x,-y,z'
'x,y+1/2,z+1/2'
'-x,-y+1/2,z+1/2'
'-x,y+1/2,z+1/2'
'x,-y+1/2,z+1/2'
loop_
_atom_site_label
_atom_site_type_symbol
_atom_site_fract_x
_atom_site_fract_y
_atom_site_fract_z
Gd1 Gd 0.0000 0.0000 0.0000
Ho1 Ho 0.0000 0.0000 0.6801
Ho2 Ho 0.5000 0.0000 0.8672
Er1 Er 0.5000 0.0000 0.5472
Mg1 Mg 0.0000 0.0000 0.3384
Mg2 Mg 0.5000 0.0000 0.2082
```

=====

3.
# GdErI2O2
Theoretical powder XRD pattern, Cu Kα X-rays. Input: a cell relaxed with PBE.
Intensities are scaled so that the largest is 100.

Most intense lines, 10° ≤ 2θ ≤ 90°, by angle:
(hkl), Position (°2θ), intensity
1 0 2, 29.77, 100
1 1 0, 32.23, 44
1 0 3, 36.93, 20
2 0 0, 46.22, 20
1 1 4, 51.22, 13
2 1 2, 55.95, 34
1 1 5, 59.82, 12
2 1 3, 60.58, 10
2 2 0, 67.44, 6
2 0 5, 69.60, 6
1 0 7, 75.46, 14
3 1 0, 76.73, 8

Structure:
```
data_GdErI2O2
_symmetry_space_group_name_H-M 'P 4 m m'
_symmetry_Int_Tables_number 99
_cell_length_a 3.9279
_cell_length_b 3.9279
_cell_length_c 9.3052
_cell_angle_alpha 90.00
_cell_angle_beta 90.00
_cell_angle_gamma 90.00
loop_
_symmetry_equiv_pos_as_xyz
'x,y,z'
'-y,x,z'
'-x,-y,z'
'y,-x,z'
'-x,y,z'
'y,x,z'
'x,-y,z'
'-y,-x,z'
loop_
_atom_site_label
_atom_site_type_symbol
_atom_site_fract_x
_atom_site_fract_y
_atom_site_fract_z
Gd1 Gd 0.0000 0.0000 0.0000
Er1 Er 0.5000 0.5000 0.2359
I1 I 0.0000 0.0000 0.4393
I2 I 0.5000 0.5000 0.7959
O1 O 0.0000 0.5000 0.1222
```

=====

4.
# Gd2Er2SiI5
Theoretical powder XRD pattern, Cu Kα X-rays. Input: a cell relaxed with PBE.
Intensities are scaled so that the largest is 100.

Most intense lines, 10° ≤ 2θ ≤ 90°, by angle:
(hkl), Position (°2θ), intensity
0 0 1, 10.27, 28
3 1 -1, 26.43, 13
6 0 0, 28.70, 46
3 1 1, 28.84, 15
1 1 -2, 29.37, 100
5 1 0, 32.09, 21
2 0 -4, 40.88, 17
5 1 2, 41.35, 33
7 1 -2, 41.70, 31
0 2 0, 43.14, 18
6 2 0, 52.64, 18
2 2 -4, 60.93, 11

Structure:
```
data_Gd2Er2SiI5
_symmetry_space_group_name_H-M 'C 1 2/m 1'
_symmetry_Int_Tables_number 12
_cell_length_a 19.1324
_cell_length_b 4.1941
_cell_length_c 8.8309
_cell_angle_alpha 90.00
_cell_angle_beta 102.68
_cell_angle_gamma 90.00
loop_
_symmetry_equiv_pos_as_xyz
'x,y,z'
'-x,-y,-z'
'-x,y,-z'
'x,-y,z'
'x+1/2,y+1/2,z'
'-x+1/2,-y+1/2,-z'
'-x+1/2,y+1/2,-z'
'x+1/2,-y+1/2,z'
loop_
_atom_site_label

Assignment:
Could you set down all of the listing earlier on exactly?

Written answer:
1.
# GdHo2Er
Theoretical powder XRD pattern, Cu Kα X-rays. Input: a cell relaxed with PBE.
Intensities are scaled so that the largest is 100.

Most intense lines, 10° ≤ 2θ ≤ 90°, by angle:
(hkl), Position (°2θ), intensity
0 2 2, 28.71, 24
2 0 0, 31.91, 24
1 4 0, 32.94, 100
2 2 2, 43.45, 16
0 6 2, 50.86, 20
3 4 0, 57.52, 21
2 6 2, 61.31, 23
1 4 4, 61.94, 16
2 8 0, 69.08, 4
3 4 4, 80.32, 8
1 10 2, 84.17, 14
4 6 2, 88.47, 9

Structure:
```
data_GdHo2Er
_symmetry_space_group_name_H-M 'A m a 2'
_symmetry_Int_Tables_number 40
_cell_length_a 5.6089
_cell_length_b 12.4359
_cell_length_c 7.1817
_cell_angle_alpha 90.00
_cell_angle_beta 90.00
_cell_angle_gamma 90.00
loop_
_symmetry_equiv_pos_as_xyz
'x,y,z'
'-x,-y,z'
'-x+1/2,y,z'
'x+1/2,-y,z'
'x,y+1/2,z+1/2'
'-x,-y+1/2,z+1/2'
'-x+1/2,y+1/2,z+1/2'
'x+1/2,-y+1/2,z+1/2'
loop_
_atom_site_label
_atom_site_type_symbol
_atom_site_fract_x
_atom_site_fract_y
_atom_site_fract_z
Gd1 Gd 0.2500 0.0835 0.0000
Ho1 Ho 0.2500 0.0837 0.5004
Ho2 Ho 0.2500 0.3330 0.7499
Er1 Er 0.2500 0.3331 0.2505
```

=====

2.
# GdHo2ErMg2
Theoretical powder XRD pattern, Cu Kα X-rays. Input: a cell relaxed with PBE.
Intensities are scaled so that the largest is 100.

Most intense lines, 10° ≤ 2θ ≤ 90°, by angle:
(hkl), Position (°2θ), intensity
0 0 2, 10.30, 18
1 0 2, 19.29, 13
0 1 1, 24.93, 18
1 0 4, 26.43, 27
0 0 6, 31.25, 20
2 0 0, 32.87, 29
1 1 3, 33.43, 100
1 0 6, 35.43, 16
0 1 7, 44.46, 14
2 0 6, 45.99, 14
3 1 3, 59.04, 20
2 2 0, 61.09, 10

Structure:
```
data_GdHo2ErMg2
_symmetry_space_group_name_H-M 'A m m 2'
_symmetry_Int_Tables_number 38
_cell_length_a 5.4498
_cell_length_b 3.6518
_cell_length_c 17.1710
_cell_angle_alpha 90.00
_cell_angle_beta 90.00
_cell_angle_gamma 90.00
loop_
_symmetry_equiv_pos_as_xyz
'x,y,z'
'-x,-y,z'
'-x,y,z'
'x,-y,z'
'x,y+1/2,z+1/2'
'-x,-y+1/2,z+1/2'
'-x,y+1/2,z+1/2'
'x,-y+1/2,z+1/2'
loop_
_atom_site_label
_atom_site_type_symbol
_atom_site_fract_x
_atom_site_fract_y
_atom_site_fract_z
Gd1 Gd 0.0000 0.0000 0.0000
Ho1 Ho 0.0000 0.0000 0.6801
Ho2 Ho 0.5000 0.0000 0.8672
Er1 Er 0.5000 0.0000 0.5472
Mg1 Mg 0.0000 0.0000 0.3384
Mg2 Mg 0.5000 0.0000 0.2082
```

=====

3.
# GdErI2O2
Theoretical powder XRD pattern, Cu Kα X-rays. Input: a cell relaxed with PBE.
Intensities are scaled so that the largest is 100.

Most intense lines, 10° ≤ 2θ ≤ 90°, by angle:
(hkl), Position (°2θ), intensity
1 0 2, 29.77, 100
1 1 0, 32.23, 44
1 0 3, 36.93, 20
2 0 0, 46.22, 20
1 1 4, 51.22, 13
2 1 2, 55.95, 34
1 1 5, 59.82, 12
2 1 3, 60.58, 10
2 2 0, 67.44, 6
2 0 5, 69.60, 6
1 0 7, 75.46, 14
3 1 0, 76.73, 8

Structure:
```
data_GdErI2O2
_symmetry_space_group_name_H-M 'P 4 m m'
_symmetry_Int_Tables_number 99
_cell_length_a 3.9279
_cell_length_b 3.9279
_cell_length_c 9.3052
_cell_angle_alpha 90.00
_cell_angle_beta 90.00
_cell_angle_gamma 90.00
loop_
_symmetry_equiv_pos_as_xyz
'x,y,z'
'-y,x,z'
'-x,-y,z'
'y,-x,z'
'-x,y,z'
'y,x,z'
'x,-y,z'
'-y,-x,z'
loop_
_atom_site_label
_atom_site_type_symbol
_atom_site_fract_x
_atom_site_fract_y
_atom_site_fract_z
Gd1 Gd 0.0000 0.0000 0.0000
Er1 Er 0.5000 0.5000 0.2359
I1 I 0.0000 0.0000 0.4393
I2 I 0.5000 0.5000 0.7959
O1 O 0.0000 0.5000 0.1222
```

=====

4.
# Gd2Er2SiI5
Theoretical powder XRD pattern, Cu Kα X-rays. Input: a cell relaxed with PBE.
Intensities are scaled so that the largest is 100.

Most intense lines, 10° ≤ 2θ ≤ 90°, by angle:
(hkl), Position (°2θ), intensity
0 0 1, 10.27, 28
3 1 -1, 26.43, 13
6 0 0, 28.70, 46
3 1 1, 28.84, 15
1 1 -2, 29.37, 100
5 1 0, 32.09, 21
2 0 -4, 40.88, 17
5 1 2, 41.35, 33
7 1 -2, 41.70, 31
0 2 0, 43.14, 18
6 2 0, 52.64, 18
2 2 -4, 60.93, 11

Structure:
```
data_Gd2Er2SiI5
_symmetry_space_group_name_H-M 'C 1 2/m 1'
_symmetry_Int_Tables_number 12
_cell_length_a 19.1324
_cell_length_b 4.1941
_cell_length_c 8.8309
_cell_angle_alpha 90.00
_cell_angle_beta 102.68
_cell_angle_gamma 90.00
loop_
_symmetry_equiv_pos_as_xyz
'x,y,z'
'-x,-y,-z'
'-x,y,-z'
'x,-y,z'
'x+1/2,y+1/2,z'
'-x+1/2,-y+1/2,-z'
'-x+1/2,y+1/2,-z'
'x+1/2,-y+1/2,z'
loop_
_atom_site_label